Listing.
____________
Here is a geometry-optimized V2F7 structure from Alexandria via LeMat-Bulk. Energies are from PBE with a Hubbard U.

Summary:
Spin magnetization   6.000 Bohr magnetons per cell
Energy above the most stable polymorph in this dataset   0.0000 eV per atom
Crystal system   orthorhombic
Volume   281 Å³/cell

Cell: 7.450 7.450 7.450 Å, 124.16 120.33 86.19°
Last column: magnetic moment on the atom in μB.
Element x y z (fractional)
V1 0.500 0.000 0.500  1.03
V2 0.500 0.500 0.500  1.90
V3 0.000 0.500 0.000  1.90
V4 0.000 0.500 0.500  1.03
F1 0.250 0.405 0.155  -0.01
F2 0.193 0.818 0.254  0.01
F3 0.551 0.809 0.258  -0.04
F4 0.750 0.595 0.845  -0.01
F5 0.436 0.182 0.375  0.01
F6 0.449 0.191 0.742  -0.04
F7 0.064 0.440 0.746  0.01
F8 0.051 0.793 0.742  -0.04
F9 0.807 0.182 0.746  0.01
F10 0.307 0.560 0.625  0.01
F11 0.693 0.440 0.375  0.01
F12 0.936 0.560 0.254  0.01
F13 0.949 0.207 0.258  -0.04
F14 0.564 0.818 0.625  0.01
____________
Wanted.
Filter the entries above: keep the lines with the word "are".
Here it is.
Here is a geometry-optimized V2F7 structure from Alexandria via LeMat-Bulk. Energies are from PBE with a Hubbard U.